Input =
-- begin --
Record 1
{"formula": "C5H4CeNO5", "method": "ωB97M-V/def2-TZVPD", "fmax_ha_per_bohr": 0.216, "e_above_lowest_ev": 2.2002, "gap_ev": 6.87, "total_charge": 3, "species": ["O", "C", "Ce", "O", "C", "C", "O", "C", "O", "C", "O", "H", "N", "H", "H", "H"], "xyz": [[1.5571, 1.3916, -4.6882], [0.9830, 1.1597, -3.7248], [0.0440, -0.3809, 0.1129], [-1.7872, 1.6632, -2.0491], [-1.2907, 1.0116, -1.2110], [-2.0231, -0.5348, 1.8389], [-2.8803, -0.5069, 2.6246], [1.1008, -1.9908, 1.5113], [1.7618, -2.8020, 1.9866], [-1.0896, -2.2299, -0.8347], [-1.4024, -3.1078, -1.5325], [1.4246, -0.5801, -1.1582], [0.7712, 1.4749, 1.6091], [1.7991, 1.6248, 1.5241], [0.6360, 1.4038, 2.6231], [0.3957, 2.4037, 1.3678]], "atomic_forces_ev_per_a": [[-1.87, -0.70, 3.03], [1.88, 0.57, -2.80], [3.00, 2.99, 0.75], [2.86, -3.89, 5.20], [-5.35, 6.23, -7.46], [-5.04, 0.12, 4.62], [4.56, -0.18, -4.21], [4.35, -5.97, 3.99], [-2.82, 3.46, -1.93], [-3.38, -7.61, -5.27], [1.63, 4.78, 3.87], [0.09, 0.01, 0.01], [0.66, 0.29, -0.01], [-0.41, -0.08, 0.03], [-0.10, 0.03, 0.07], [-0.06, -0.06, 0.10]]}


Record 2
{"formula": "C5H4Cl2S", "method": "ωB97M-V/def2-TZVPD", "fmax_ha_per_bohr": 0.093, "e_above_lowest_ev": 2.7384, "gap_ev": 9.02, "total_charge": 0, "species": ["C", "C", "C", "C", "C", "H", "H", "H", "H", "S", "Cl", "Cl"], "xyz": [[0.8463, -0.6343, 0.1338], [-0.1679, -0.3217, -0.9581], [-0.2726, -0.4314, 1.0603], [-0.7292, 0.9747, 0.7250], [-0.5620, 1.1021, -0.6253], [0.1802, -0.5117, -1.9941], [0.0916, -0.7412, 2.0335], [-1.0593, 1.7616, 1.2434], [-0.9630, 1.8103, -1.3599], [-1.2060, -1.4785, -0.1771], [2.2489, 0.6105, -0.0838], [1.5929, -2.1405, 0.0024]], "atomic_forces_ev_per_a": [[1.77, 2.57, -3.26], [2.45, 0.58, -4.07], [0.33, 0.19, 2.37], [1.35, -0.96, -4.10], [-1.73, -1.56, 1.85], [-0.42, -0.06, 0.54], [-1.30, -0.02, 0.69], [-1.19, 2.31, 2.83], [0.60, -0.08, 0.64], [-2.65, -0.88, 1.30], [-0.38, -0.36, 0.83], [1.18, -1.74, 0.39]]}


Record 3
{"formula": "C5H4ClF3NO2S", "method": "ωB97M-V/def2-TZVPD", "fmax_ha_per_bohr": 0.078, "e_above_lowest_ev": 2.3610, "gap_ev": [7.85, 7.85], "total_charge": -1, "species": ["C", "C", "C", "C", "C", "N", "O", "O", "F", "F", "F", "S", "Cl", "H", "H", "H", "H"], "xyz": [[0.9724, -0.3110, 2.1370], [-1.1244, -0.1471, 0.4980], [-0.8651, 1.7518, -0.7145], [0.4069, 0.0842, 0.6770], [1.1500, -1.5054, -0.8997], [-1.5265, 0.5637, -0.7855], [0.4617, 0.4663, 2.9459], [1.6731, -1.2685, 2.2844], [1.4697, -2.7881, -0.6201], [0.3916, -1.4668, -2.0073], [2.4170, -1.0376, -1.1633], [0.8278, 1.6130, 0.0054], [-0.8734, 2.4715, -2.3903], [-1.2912, -1.1526, 0.3727], [-1.5898, 0.1689, 1.4077], [-1.4664, 2.4956, -0.1720], [-1.0334, 0.0621, -1.5755]], "atomic_forces_ev_per_a": [[-1.23, 0.94, -0.65], [1.81, 1.74, -1.38], [-0.20, 3.52, -0.55], [0.03, -2.33, -0.90], [1.54, 1.82, 3.20], [0.54, -3.19, 0.54], [-0.58, 0.96, 0.39], [1.49, -1.82, -0.27], [-1.39, -0.46, 0.02], [0.07, -0.27, -0.77], [-0.64, 0.82, -0.88], [-0.25, -0.19, -0.25], [0.38, 0.11, 0.05], [-0.47, -2.37, -0.25], [-0.64, 0.79, 0.27], [0.52, -0.19, 0.21], [-0.97, 0.11, 1.22]]}


Record 4
{"formula": "C5H4ClNS", "method": "ωB97M-V/def2-TZVPD", "fmax_ha_per_bohr": 0.048, "e_above_lowest_ev": 0.8642, "smiles": "CC1=NC(=S)C=C1Cl", "gap_ev": 7.46, "total_charge": 0, "species": ["C", "C", "N", "C", "S", "C", "C", "Cl", "H", "H", "H", "H"], "xyz": [[1.2676, 1.1162, -1.0556], [0.2771, 0.1304, -0.3861], [-0.1412, -0.9540, -0.8969], [-0.9768, -1.5931, 0.0334], [-1.5133, -3.0888, -0.2243], [-1.2164, -0.6800, 1.1475], [-0.4395, 0.3960, 0.9056], [-0.0703, 1.6857, 2.0309], [1.0320, 2.2082, -1.0067], [2.2232, 1.0521, -0.4498], [1.3883, 0.7028, -2.0484], [-1.8308, -0.9756, 1.9505]], "atomic_forces_ev_per_a": [[0.12, -0.86, 1.75], [0.00, 2.47, -0.11], [1.21, -0.41, -1.14], [-0.42, -0.03, -0.63], [-0.09, 0.12, 0.35], [0.73, 0.56, -0.36], [0.07, -0.62, 1.41], [-0.29, -0.55, -0.87], [-0.42, -1.10, -0.19], [-0.80, -0.15, -0.85], [0.37, 0.41, -0.26], [-0.47, 0.16, 0.90]]}


Record 5
-- stop --

Request =
Please print everything further above unchanged.

Reply =
Record 1
{"formula": "C5H4CeNO5", "method": "ωB97M-V/def2-TZVPD", "fmax_ha_per_bohr": 0.216, "e_above_lowest_ev": 2.2002, "gap_ev": 6.87, "total_charge": 3, "species": ["O", "C", "Ce", "O", "C", "C", "O", "C", "O", "C", "O", "H", "N", "H", "H", "H"], "xyz": [[1.5571, 1.3916, -4.6882], [0.9830, 1.1597, -3.7248], [0.0440, -0.3809, 0.1129], [-1.7872, 1.6632, -2.0491], [-1.2907, 1.0116, -1.2110], [-2.0231, -0.5348, 1.8389], [-2.8803, -0.5069, 2.6246], [1.1008, -1.9908, 1.5113], [1.7618, -2.8020, 1.9866], [-1.0896, -2.2299, -0.8347], [-1.4024, -3.1078, -1.5325], [1.4246, -0.5801, -1.1582], [0.7712, 1.4749, 1.6091], [1.7991, 1.6248, 1.5241], [0.6360, 1.4038, 2.6231], [0.3957, 2.4037, 1.3678]], "atomic_forces_ev_per_a": [[-1.87, -0.70, 3.03], [1.88, 0.57, -2.80], [3.00, 2.99, 0.75], [2.86, -3.89, 5.20], [-5.35, 6.23, -7.46], [-5.04, 0.12, 4.62], [4.56, -0.18, -4.21], [4.35, -5.97, 3.99], [-2.82, 3.46, -1.93], [-3.38, -7.61, -5.27], [1.63, 4.78, 3.87], [0.09, 0.01, 0.01], [0.66, 0.29, -0.01], [-0.41, -0.08, 0.03], [-0.10, 0.03, 0.07], [-0.06, -0.06, 0.10]]}


Record 2
{"formula": "C5H4Cl2S", "method": "ωB97M-V/def2-TZVPD", "fmax_ha_per_bohr": 0.093, "e_above_lowest_ev": 2.7384, "gap_ev": 9.02, "total_charge": 0, "species": ["C", "C", "C", "C", "C", "H", "H", "H", "H", "S", "Cl", "Cl"], "xyz": [[0.8463, -0.6343, 0.1338], [-0.1679, -0.3217, -0.9581], [-0.2726, -0.4314, 1.0603], [-0.7292, 0.9747, 0.7250], [-0.5620, 1.1021, -0.6253], [0.1802, -0.5117, -1.9941], [0.0916, -0.7412, 2.0335], [-1.0593, 1.7616, 1.2434], [-0.9630, 1.8103, -1.3599], [-1.2060, -1.4785, -0.1771], [2.2489, 0.6105, -0.0838], [1.5929, -2.1405, 0.0024]], "atomic_forces_ev_per_a": [[1.77, 2.57, -3.26], [2.45, 0.58, -4.07], [0.33, 0.19, 2.37], [1.35, -0.96, -4.10], [-1.73, -1.56, 1.85], [-0.42, -0.06, 0.54], [-1.30, -0.02, 0.69], [-1.19, 2.31, 2.83], [0.60, -0.08, 0.64], [-2.65, -0.88, 1.30], [-0.38, -0.36, 0.83], [1.18, -1.74, 0.39]]}


Record 3
{"formula": "C5H4ClF3NO2S", "method": "ωB97M-V/def2-TZVPD", "fmax_ha_per_bohr": 0.078, "e_above_lowest_ev": 2.3610, "gap_ev": [7.85, 7.85], "total_charge": -1, "species": ["C", "C", "C", "C", "C", "N", "O", "O", "F", "F", "F", "S", "Cl", "H", "H", "H", "H"], "xyz": [[0.9724, -0.3110, 2.1370], [-1.1244, -0.1471, 0.4980], [-0.8651, 1.7518, -0.7145], [0.4069, 0.0842, 0.6770], [1.1500, -1.5054, -0.8997], [-1.5265, 0.5637, -0.7855], [0.4617, 0.4663, 2.9459], [1.6731, -1.2685, 2.2844], [1.4697, -2.7881, -0.6201], [0.3916, -1.4668, -2.0073], [2.4170, -1.0376, -1.1633], [0.8278, 1.6130, 0.0054], [-0.8734, 2.4715, -2.3903], [-1.2912, -1.1526, 0.3727], [-1.5898, 0.1689, 1.4077], [-1.4664, 2.4956, -0.1720], [-1.0334, 0.0621, -1.5755]], "atomic_forces_ev_per_a": [[-1.23, 0.94, -0.65], [1.81, 1.74, -1.38], [-0.20, 3.52, -0.55], [0.03, -2.33, -0.90], [1.54, 1.82, 3.20], [0.54, -3.19, 0.54], [-0.58, 0.96, 0.39], [1.49, -1.82, -0.27], [-1.39, -0.46, 0.02], [0.07, -0.27, -0.77], [-0.64, 0.82, -0.88], [-0.25, -0.19, -0.25], [0.38, 0.11, 0.05], [-0.47, -2.37, -0.25], [-0.64, 0.79, 0.27], [0.52, -0.19, 0.21], [-0.97, 0.11, 1.22]]}


Record 4
{"formula": "C5H4ClNS", "method": "ωB97M-V/def2-TZVPD", "fmax_ha_per_bohr": 0.048, "e_above_lowest_ev": 0.8642, "smiles": "CC1=NC(=S)C=C1Cl", "gap_ev": 7.46, "total_charge": 0, "species": ["C", "C", "N", "C", "S", "C", "C", "Cl", "H", "H", "H", "H"], "xyz": [[1.2676, 1.1162, -1.0556], [0.2771, 0.1304, -0.3861], [-0.1412, -0.9540, -0.8969], [-0.9768, -1.5931, 0.0334], [-1.5133, -3.0888, -0.2243], [-1.2164, -0.6800, 1.1475], [-0.4395, 0.3960, 0.9056], [-0.0703, 1.6857, 2.0309], [1.0320, 2.2082, -1.0067], [2.2232, 1.0521, -0.4498], [1.3883, 0.7028, -2.0484], [-1.8308, -0.9756, 1.9505]], "atomic_forces_ev_per_a": [[0.12, -0.86, 1.75], [0.00, 2.47, -0.11], [1.21, -0.41, -1.14], [-0.42, -0.03, -0.63], [-0.09, 0.12, 0.35], [0.73, 0.56, -0.36], [0.07, -0.62, 1.41], [-0.29, -0.55, -0.87], [-0.42, -1.10, -0.19], [-0.80, -0.15, -0.85], [0.37, 0.41, -0.26], [-0.47, 0.16, 0.90]]}


Record 5